(Source)
[1]
This record from OMol25 describes a cluster of 2 separate species, C4H14N2OS in total at a distorted geometry. The level of theory is ωB97M-V/def2-TZVPD.

Each line ends with the Mulliken charge.
Geometry (Å):
N (2.5765, -0.5433, 1.8862)  -0.60
C (2.0315, -0.9495, 0.5896)  -0.53
N (0.8534, -0.2330, 0.1778)  -0.06
C (-0.1235, -0.6915, -0.7451)  -0.75
C (-1.4683, -1.1118, -0.2371)  -0.52
C (-2.2661, -0.1652, 0.6713)  -0.77
S (-2.1908, 1.5062, -0.1421)  -0.24
H (2.8590, 0.4236, 1.7981)  0.22
H (1.9678, -0.6763, 2.6759)  0.24
H (2.9515, -1.0183, -0.0298)  0.30
H (1.6483, -1.9763, 0.6276)  0.37
H (0.8923, 0.7710, 0.1201)  0.22
H (-0.3047, 0.0836, -1.5202)  0.34
H (0.2684, -1.5792, -1.3825)  0.30
H (-2.2396, -1.2888, -0.9891)  0.35
H (-1.5407, -2.0422, 0.3567)  0.30
H (-3.2686, -0.5328, 0.8446)  0.43
H (-1.8033, 0.0041, 1.6728)  0.29
H (-3.3359, 1.3942, -0.9174)  0.12
O (0.7365, 2.8286, -1.4427)  -0.59
H (0.3138, 3.4082, -2.0852)  0.30
H (1.4427, 2.3887, -1.9296)  0.31

Force components x, y, z for each atom (eV/Å):
N 0.22 -0.17 -0.82
C -0.21 -1.19 0.75
N -0.10 1.31 0.49
C 0.54 -1.76 -2.92
C -2.44 -1.00 2.01
C 1.66 1.43 0.18
S -1.65 -0.10 -0.01
H 0.01 0.03 0.42
H -0.39 0.19 -0.06
H -0.70 0.61 -0.53
H 0.49 -0.13 0.31
H 0.55 0.17 0.19
H 0.16 -0.29 0.52
H -0.39 1.17 1.02
H 0.72 -0.10 -0.92
H 0.93 -0.12 -0.34
H -0.23 0.16 -0.16
H -0.18 -0.19 -0.78
H 0.91 0.03 0.63
O 0.20 -0.07 -0.06
H -0.02 -0.06 0.07
H -0.06 0.08 0.00

## Properties
Electronic energy ... -20236.8933 eV
Strongest force on any atom ... 3.5 eV/Å
SMILES string ... NCNCCCS.O
HOMO level ... -8.39 eV

***

[2]
This record from OMol25 describes a structure of composition C29H29CoN4O7S at a distorted geometry. The level of theory is ωB97M-V/def2-TZVPD.

Each line ends with the Mulliken charge.
Geometry (Å):
Co (0.4908, -0.0549, 0.0778)  -1.51
O (-3.5319, 2.7333, 4.8173)  -0.71
C (-3.0104, 3.3537, 3.8866)  0.25
O (-2.8994, 4.5546, 3.6112)  -0.70
C (-2.2642, 2.4259, 2.8665)  -1.00
C (-1.9111, 2.9085, 1.6083)  -0.92
C (-1.2578, 2.0593, 0.7446)  0.28
N (-0.8997, 0.8200, 1.1129)  1.65
C (-1.2061, 0.3644, 2.3245)  -0.31
C (-1.9273, 1.1285, 3.2238)  -0.47
C (-0.6768, -0.9936, 2.5402)  1.39
C (-0.8769, -1.7426, 3.6873)  -0.96
C (-0.2908, -2.9926, 3.7699)  -0.66
C (0.4567, -3.4728, 2.7019)  -1.06
C (0.5857, -2.6801, 1.5793)  -0.33
N (0.0313, -1.4697, 1.5020)  1.17
C (-0.8532, 2.3580, -0.6341)  0.66
C (-1.3224, 3.4252, -1.3789)  -0.68
C (-0.8652, 3.5709, -2.6772)  -0.79
C (0.0299, 2.6467, -3.1956)  -1.11
C (0.4376, 1.5908, -2.4008)  -0.58
N (-0.0010, 1.4563, -1.1500)  1.15
H (-2.1446, 3.9325, 1.3548)  0.64
H (-2.2144, 0.7711, 4.2021)  0.65
H (-1.4649, -1.3471, 4.5004)  0.54
H (-0.4125, -3.5880, 4.6639)  0.47
H (0.9322, -4.4412, 2.7343)  0.46
H (1.1428, -3.0085, 0.7113)  0.51
H (-2.0297, 4.1184, -0.9489)  0.59
H (-1.2079, 4.4000, -3.2811)  0.48
H (0.4119, 2.7348, -4.2011)  0.52
H (1.1408, 0.8423, -2.7291)  0.65
C (1.0240, 7.0381, 0.2069)  -1.45
C (1.2932, 5.6626, 0.7499)  0.96
C (1.0732, 5.3663, 2.0918)  -0.95
C (1.3186, 4.1005, 2.5953)  -0.85
C (1.7749, 3.1020, 1.7455)  0.57
C (2.0226, 3.3845, 0.4091)  -0.41
C (1.7840, 4.6586, -0.0791)  -0.88
S (2.0591, 1.4828, 2.4154)  1.18
O (3.3845, 1.4550, 2.9751)  -0.79
O (0.9527, 1.2478, 3.3070)  -0.58
N (1.9890, 0.4778, 1.1873)  0.31
C (3.2650, -0.0165, 0.6367)  -0.46
C (3.0676, -0.1893, -0.8348)  0.42
O (3.9153, -0.1780, -1.6817)  -0.69
O (1.7901, -0.4028, -1.1409)  -0.52
H (0.6909, 7.7131, 0.9919)  0.38
H (0.2505, 7.0106, -0.5620)  0.28
H (1.9195, 7.4621, -0.2482)  0.36
H (0.6904, 6.1342, 2.7501)  0.33
H (1.1295, 3.8780, 3.6348)  0.50
H (2.4073, 2.6139, -0.2448)  0.45
H (1.9795, 4.8754, -1.1224)  0.51
H (3.4892, -1.0058, 1.0476)  0.31
H (4.1170, 0.6248, 0.8620)  0.42
C (0.0586, -2.2819, -3.5097)  -1.42
C (0.1785, -2.4803, -2.0145)  -0.41
O (-0.5992, -1.5172, -1.2687)  0.50
C (-1.9880, -1.8984, -1.2789)  -0.67
C (-2.8875, -0.8051, -0.7674)  -0.96
H (0.7436, -2.9623, -4.0150)  0.42
H (0.3429, -1.2652, -3.7746)  0.25

(Work order)
Next, start at the top of the notes further up and restate each line, ending with the one that has "-0.71".

(Done)
[1]
This record from OMol25 describes a cluster of 2 separate species, C4H14N2OS in total at a distorted geometry. The level of theory is ωB97M-V/def2-TZVPD.

Each line ends with the Mulliken charge.
Geometry (Å):
N (2.5765, -0.5433, 1.8862)  -0.60
C (2.0315, -0.9495, 0.5896)  -0.53
N (0.8534, -0.2330, 0.1778)  -0.06
C (-0.1235, -0.6915, -0.7451)  -0.75
C (-1.4683, -1.1118, -0.2371)  -0.52
C (-2.2661, -0.1652, 0.6713)  -0.77
S (-2.1908, 1.5062, -0.1421)  -0.24
H (2.8590, 0.4236, 1.7981)  0.22
H (1.9678, -0.6763, 2.6759)  0.24
H (2.9515, -1.0183, -0.0298)  0.30
H (1.6483, -1.9763, 0.6276)  0.37
H (0.8923, 0.7710, 0.1201)  0.22
H (-0.3047, 0.0836, -1.5202)  0.34
H (0.2684, -1.5792, -1.3825)  0.30
H (-2.2396, -1.2888, -0.9891)  0.35
H (-1.5407, -2.0422, 0.3567)  0.30
H (-3.2686, -0.5328, 0.8446)  0.43
H (-1.8033, 0.0041, 1.6728)  0.29
H (-3.3359, 1.3942, -0.9174)  0.12
O (0.7365, 2.8286, -1.4427)  -0.59
H (0.3138, 3.4082, -2.0852)  0.30
H (1.4427, 2.3887, -1.9296)  0.31

Force components x, y, z for each atom (eV/Å):
N 0.22 -0.17 -0.82
C -0.21 -1.19 0.75
N -0.10 1.31 0.49
C 0.54 -1.76 -2.92
C -2.44 -1.00 2.01
C 1.66 1.43 0.18
S -1.65 -0.10 -0.01
H 0.01 0.03 0.42
H -0.39 0.19 -0.06
H -0.70 0.61 -0.53
H 0.49 -0.13 0.31
H 0.55 0.17 0.19
H 0.16 -0.29 0.52
H -0.39 1.17 1.02
H 0.72 -0.10 -0.92
H 0.93 -0.12 -0.34
H -0.23 0.16 -0.16
H -0.18 -0.19 -0.78
H 0.91 0.03 0.63
O 0.20 -0.07 -0.06
H -0.02 -0.06 0.07
H -0.06 0.08 0.00

## Properties
Electronic energy ... -20236.8933 eV
Strongest force on any atom ... 3.5 eV/Å
SMILES string ... NCNCCCS.O
HOMO level ... -8.39 eV

***

[2]
This record from OMol25 describes a structure of composition C29H29CoN4O7S at a distorted geometry. The level of theory is ωB97M-V/def2-TZVPD.

Each line ends with the Mulliken charge.
Geometry (Å):
Co (0.4908, -0.0549, 0.0778)  -1.51
O (-3.5319, 2.7333, 4.8173)  -0.71